_Request_
Repeat everything underneath word for word, please.

_Contents_
+++
Theoretical powder XRD pattern
Compound: HoCuSb2
Radiation: Cu Kα X-rays
Structure: a DFT-relaxed cell (PBE, the Materials Project)

Crystal structure
Lattice parameters (Å, degrees): 4.317 4.317 9.753 90.00 90.00 90.00
Sites, in units of the cell vectors:
Ho 0.250 0.250 0.250
Ho 0.750 0.750 0.750
Cu 0.250 0.750 0.000
Cu 0.750 0.250 0.000
Sb 0.250 0.250 0.837
Sb 0.250 0.750 0.500
Sb 0.750 0.250 0.500
Sb 0.750 0.750 0.163

Most intense lines, 10° ≤ 2θ ≤ 90°, by angle:
Position (°2θ), I_rel, (hkl)
27.6, 125, 1 0 2
30.7, 109, 1 1 1
34.5, 177, 1 0 3
34.7, 1000, 1 1 2
41.9, 398, 2 0 0
51.4, 146, 1 0 5
57.0, 113, 2 0 4
60.7, 130, 2 2 0
68.4, 123, 2 1 5
71.8, 253, 3 1 2

Theoretical powder XRD pattern
Compound: Er2MgTiO6
Radiation: Cu Kα X-rays
Structure: a DFT-relaxed cell (PBE, the Materials Project)

Crystal structure
Lattice parameters (Å, degrees): 5.303 5.610 9.305 90.00 124.21 90.00
Sites, in units of the cell vectors:
Er 0.227 0.064 0.245
Er 0.227 0.436 0.745
Er 0.773 0.564 0.255
Er 0.773 0.936 0.755
Mg 0.000 0.000 0.500
Mg 0.000 0.500 0.000
Ti 0.500 0.000 0.000
Ti 0.500 0.500 0.500
O 0.143 0.187 0.945
O 0.143 0.313 0.445
O 0.247 0.705 0.931
O 0.247 0.795 0.431
O 0.378 0.052 0.758
O 0.378 0.448 0.258
O 0.622 0.552 0.742
O 0.622 0.948 0.242
O 0.753 0.205 0.569
O 0.753 0.295 0.069
O 0.857 0.687 0.555
O 0.857 0.813 0.055

Most intense lines, 10° ≤ 2θ ≤ 90°, by angle:
Position (°2θ), I_rel, (hkl)
23.1, 1000, 0 0 2
25.8, 172, 1 1 0
31.9, 235, 0 2 0
32.8, 678, 1 1 1
33.0, 674, 1 1 -3
33.8, 318, 2 0 -2
34.0, 210, 0 2 1
47.2, 415, 0 0 4
53.3, 348, 1 3 0
59.7, 234, 2 0 -6

Theoretical powder XRD pattern
Compound: SrMnSb2
Radiation: Cu Kα X-rays
Structure: a DFT-relaxed cell (PBE, the Materials Project)

Crystal structure
Lattice parameters (Å, degrees): 22.626 4.451 4.516 90.00 90.00 90.00
Sites, in units of the cell vectors:
Sr 0.119 0.250 0.225
Sr 0.381 0.750 0.725
Sr 0.619 0.250 0.275
Sr 0.881 0.750 0.775
Mn 0.250 0.250 0.723
Mn 0.250 0.750 0.223
Mn 0.750 0.250 0.777
Mn 0.750 0.750 0.277
Sb 0.002 0.250 0.715
Sb 0.181 0.750 0.726
Sb 0.319 0.250 0.226
Sb 0.498 0.750 0.215
Sb 0.502 0.250 0.785
Sb 0.681 0.750 0.774
Sb 0.819 0.250 0.274
Sb 0.998 0.750 0.285

Most intense lines, 10° ≤ 2θ ≤ 90°, by angle:
Position (°2θ), I_rel, (hkl)
23.6, 156, 6 0 0
25.2, 194, 4 0 1
25.5, 226, 4 1 0
29.3, 292, 2 1 1
30.9, 169, 6 0 1
32.4, 1000, 4 1 1
39.9, 271, 0 0 2
40.5, 255, 0 2 0
42.9, 239, 8 1 1
58.2, 174, 0 2 2

=====

Starting from a cell relaxed with GGA+U, the powder diffraction line list of Na2Ho2CrO6 was calculated for Cu Kα (weighted mean of Kα1 and Kα2).
No peak broadening, texture or thermal motion is included.

Main lines, in order of rising 2θ (10° ≤ 2θ ≤ 80°):
- hkl 0 0 1, 2θ 15.67, I = 1000
- hkl 0 0 2, 2θ 31.63, I = 166
- hkl 1 3 0, 2θ 32.09, I = 250
- hkl 2 0 0, 2θ 32.63, I = 143
- hkl 1 3 -1, 2θ 33.87, I = 239
- hkl 1 3 1, 2θ 37.83, I = 412
- hkl 2 0 -2, 2θ 39.24, I = 197
- hkl 1 3 -3, 2θ 55.01, I = 144

Cell: 5.6902 9.7149 5.8653 Å, 90.00 105.32 90.00°
Space group C2/m (No. 12)
Unique sites:
Na 0.0000 0.1461 0.0000 [4 per cell]
Ho 0.0000 0.3364 0.5000 [4 per cell]
Cr 0.0000 0.0000 0.5000 [2 per cell]
O 0.1957 0.1505 0.6881 [8 per cell]
O 0.2440 0.0000 0.3045 [4 per cell]



Starting from a cell relaxed with GGA+U, the powder diffraction line list of HoCrP2O8 was calculated for Cu Kα (weighted mean of Kα1 and Kα2).
No peak broadening, texture or thermal motion is included.

Main lines, in order of rising 2θ (10° ≤ 2θ ≤ 80°):
- hkl 1 1 0, 2θ 18.68, I = 260
- hkl 1 0 1, 2θ 19.92, I = 610
- hkl 2 0 0, 2θ 26.54, I = 1000
- hkl 2 1 1, 2θ 33.41, I = 256
- hkl 1 1 2, 2θ 35.56, I = 608
- hkl 3 0 1, 2θ 43.17, I = 230
- hkl 3 2 1, 2θ 51.39, I = 211
- hkl 3 1 2, 2θ 52.94, I = 517

Cell: 6.7161 6.7161 5.9608 Å, 90.00 90.00 90.00°
Space group I-4m2 (No. 119)
Unique sites:
Ho 0.0000 0.0000 0.0000 [2 per cell]
Cr 0.0000 0.5000 0.7500 [2 per cell]
P 0.0000 0.0000 0.5000 [2 per cell]
P 0.0000 0.5000 0.2500 [2 per cell]
+++

_Written answer_
Theoretical powder XRD pattern
Compound: HoCuSb2
Radiation: Cu Kα X-rays
Structure: a DFT-relaxed cell (PBE, the Materials Project)

Crystal structure
Lattice parameters (Å, degrees): 4.317 4.317 9.753 90.00 90.00 90.00
Sites, in units of the cell vectors:
Ho 0.250 0.250 0.250
Ho 0.750 0.750 0.750
Cu 0.250 0.750 0.000
Cu 0.750 0.250 0.000
Sb 0.250 0.250 0.837
Sb 0.250 0.750 0.500
Sb 0.750 0.250 0.500
Sb 0.750 0.750 0.163

Most intense lines, 10° ≤ 2θ ≤ 90°, by angle:
Position (°2θ), I_rel, (hkl)
27.6, 125, 1 0 2
30.7, 109, 1 1 1
34.5, 177, 1 0 3
34.7, 1000, 1 1 2
41.9, 398, 2 0 0
51.4, 146, 1 0 5
57.0, 113, 2 0 4
60.7, 130, 2 2 0
68.4, 123, 2 1 5
71.8, 253, 3 1 2

Theoretical powder XRD pattern
Compound: Er2MgTiO6
Radiation: Cu Kα X-rays
Structure: a DFT-relaxed cell (PBE, the Materials Project)

Crystal structure
Lattice parameters (Å, degrees): 5.303 5.610 9.305 90.00 124.21 90.00
Sites, in units of the cell vectors:
Er 0.227 0.064 0.245
Er 0.227 0.436 0.745
Er 0.773 0.564 0.255
Er 0.773 0.936 0.755
Mg 0.000 0.000 0.500
Mg 0.000 0.500 0.000
Ti 0.500 0.000 0.000
Ti 0.500 0.500 0.500
O 0.143 0.187 0.945
O 0.143 0.313 0.445
O 0.247 0.705 0.931
O 0.247 0.795 0.431
O 0.378 0.052 0.758
O 0.378 0.448 0.258
O 0.622 0.552 0.742
O 0.622 0.948 0.242
O 0.753 0.205 0.569
O 0.753 0.295 0.069
O 0.857 0.687 0.555
O 0.857 0.813 0.055

Most intense lines, 10° ≤ 2θ ≤ 90°, by angle:
Position (°2θ), I_rel, (hkl)
23.1, 1000, 0 0 2
25.8, 172, 1 1 0
31.9, 235, 0 2 0
32.8, 678, 1 1 1
33.0, 674, 1 1 -3
33.8, 318, 2 0 -2
34.0, 210, 0 2 1
47.2, 415, 0 0 4
53.3, 348, 1 3 0
59.7, 234, 2 0 -6

Theoretical powder XRD pattern
Compound: SrMnSb2
Radiation: Cu Kα X-rays
Structure: a DFT-relaxed cell (PBE, the Materials Project)

Crystal structure
Lattice parameters (Å, degrees): 22.626 4.451 4.516 90.00 90.00 90.00
Sites, in units of the cell vectors:
Sr 0.119 0.250 0.225
Sr 0.381 0.750 0.725
Sr 0.619 0.250 0.275
Sr 0.881 0.750 0.775
Mn 0.250 0.250 0.723
Mn 0.250 0.750 0.223
Mn 0.750 0.250 0.777
Mn 0.750 0.750 0.277
Sb 0.002 0.250 0.715
Sb 0.181 0.750 0.726
Sb 0.319 0.250 0.226
Sb 0.498 0.750 0.215
Sb 0.502 0.250 0.785
Sb 0.681 0.750 0.774
Sb 0.819 0.250 0.274
Sb 0.998 0.750 0.285

Most intense lines, 10° ≤ 2θ ≤ 90°, by angle:
Position (°2θ), I_rel, (hkl)
23.6, 156, 6 0 0
25.2, 194, 4 0 1
25.5, 226, 4 1 0
29.3, 292, 2 1 1
30.9, 169, 6 0 1
32.4, 1000, 4 1 1
39.9, 271, 0 0 2
40.5, 255, 0 2 0
42.9, 239, 8 1 1
58.2, 174, 0 2 2

=====

Starting from a cell relaxed with GGA+U, the powder diffraction line list of Na2Ho2CrO6 was calculated for Cu Kα (weighted mean of Kα1 and Kα2).
No peak broadening, texture or thermal motion is included.

Main lines, in order of rising 2θ (10° ≤ 2θ ≤ 80°):
- hkl 0 0 1, 2θ 15.67, I = 1000
- hkl 0 0 2, 2θ 31.63, I = 166
- hkl 1 3 0, 2θ 32.09, I = 250
- hkl 2 0 0, 2θ 32.63, I = 143
- hkl 1 3 -1, 2θ 33.87, I = 239
- hkl 1 3 1, 2θ 37.83, I = 412
- hkl 2 0 -2, 2θ 39.24, I = 197
- hkl 1 3 -3, 2θ 55.01, I = 144

Cell: 5.6902 9.7149 5.8653 Å, 90.00 105.32 90.00°
Space group C2/m (No. 12)
Unique sites:
Na 0.0000 0.1461 0.0000 [4 per cell]
Ho 0.0000 0.3364 0.5000 [4 per cell]
Cr 0.0000 0.0000 0.5000 [2 per cell]
O 0.1957 0.1505 0.6881 [8 per cell]
O 0.2440 0.0000 0.3045 [4 per cell]



Starting from a cell relaxed with GGA+U, the powder diffraction line list of HoCrP2O8 was calculated for Cu Kα (weighted mean of Kα1 and Kα2).
No peak broadening, texture or thermal motion is included.

Main lines, in order of rising 2θ (10° ≤ 2θ ≤ 80°):
- hkl 1 1 0, 2θ 18.68, I = 260
- hkl 1 0 1, 2θ 19.92, I = 610
- hkl 2 0 0, 2θ 26.54, I = 1000
- hkl 2 1 1, 2θ 33.41, I = 256
- hkl 1 1 2, 2θ 35.56, I = 608
- hkl 3 0 1, 2θ 43.17, I = 230
- hkl 3 2 1, 2θ 51.39, I = 211
- hkl 3 1 2, 2θ 52.94, I = 517

Cell: 6.7161 6.7161 5.9608 Å, 90.00 90.00 90.00°
Space group I-4m2 (No. 119)
Unique sites:
Ho 0.0000 0.0000 0.0000 [2 per cell]
Cr 0.0000 0.5000 0.7500 [2 per cell]
P 0.0000 0.0000 0.5000 [2 per cell]
P 0.0000 0.5000 0.2500 [2 per cell]